From the MASSAGE Magazine article, “The Top 3 Trends Shaping the Massage Profession,” by Karen Menehan, in the Trends & Opportunities 2009 issue. Article summary: Massage therapy’s roots run deep, intertwined with preventive health care, spas, athletics and, increasingly, the medical system. The profession’s longstanding branches have grown sturdier with time—but even as ancient techniques are updated for today’s clientele, new shoots are springing forth as the field expands.
April 2005: Apart from states that administer their own exam, states that regulate massage therapy mostly use the National Certification Exam for Therapeutic Massage & Bodywork (NCETMB) as one part of their regulation processes.
May 2005: Representatives from seven regulated states, educators and representatives of Associated Bodywork and Massage Professionals (ABMP), which provided seed money, meet to discuss creating an organization to unify regulatory groups and create a uniform licensing exam. The result is the creation of the Federation of State Massage Therapy Boards (FSMTB).
What comes next are calculated crystals, not part of the page:
'''
Record 1
## La4SiNi3 (PBE)

Data for an optimized crystal structure of La4SiNi3.

Calculated values
crystal system	orthorhombic

a b c (Å): 4.3051 4.3345 10.0747
angles (deg): 90.00 90.00 90.00
Fractional positions:
La (0.0000, 0.0000, 0.0000)
La (0.0000, 0.5000, 0.2883)
La (0.5000, 0.0000, 0.4762)
La (0.5000, 0.5000, 0.7803)
Si (0.0000, 0.0000, 0.6879)
Ni (0.0000, 0.5000, 0.5789)
Ni (0.5000, 0.0000, 0.1964)
Ni (0.5000, 0.5000, 0.0847)

***

Record 2
## La3Si4Ni2 (PBE)

Data for an optimized crystal structure of La3Si4Ni2.

Calculated values
distance to the lowest polymorph of the same formula	0	meV per atom
crystal system	monoclinic

a b c (Å): 5.9979 5.9979 8.3086
angles (deg): 97.33 97.33 39.69
Fractional positions:
La (0.0000, 0.0000, 0.0000)
La (0.3355, 0.3355, 0.3381)
La (0.6645, 0.6645, 0.6619)
Si (0.0548, 0.0548, 0.3818)
Si (0.2795, 0.2795, 0.9326)
Si (0.7205, 0.7205, 0.0674)
Si (0.9452, 0.9452, 0.6182)
Ni (0.3925, 0.3925, 0.7226)
Ni (0.6075, 0.6075, 0.2774)

***

Record 3
## La2Si3Ni2 (PBE)

Data for an optimized crystal structure of La2Si3Ni2.

Calculated values
distance to the lowest polymorph of the same formula	40	meV per atom
crystal system	monoclinic

a b c (Å): 5.9298 5.9298 7.0561
angles (deg): 121.95 121.95 38.30
Fractional positions:
La (0.1358, 0.1358, 0.2630)
La (0.8642, 0.8642, 0.7370)
Si (0.3486, 0.3486, 0.0658)
Si (0.5000, 0.5000, 0.5000)
Si (0.6514, 0.6514, 0.9342)
Ni (0.1254, 0.1254, 0.7160)
Ni (0.8746, 0.8746, 0.2840)

***

Record 4
## LaSi2Ni (PBE)

Data for an optimized crystal structure of LaSi2Ni.

Calculated values
crystal system	monoclinic

a b c (Å): 4.3016 4.0410 4.5146
angles (deg): 90.00 107.04 90.00
Fractional positions:
La (0.0000, 0.0000, 0.0000)
Si (0.3105, 0.5000, 0.6586)
Si (0.6895, 0.5000, 0.3414)
Ni (0.5000, 0.0000, 0.5000)

***

Record 5
## LaSi2Ni9 (PBE)

Data for an optimized crystal structure of LaSi2Ni9.

Calculated values
crystal system	tetragonal

a b c (Å): 7.6446 7.6446 7.6446
angles (deg): 99.58 99.58 131.86
Fractional positions:
La (0.3750, 0.6250, 0.7500)
La (0.6250, 0.3750, 0.2500)
Si (0.0000, 0.0000, 0.0000)
Si (0.0000, 0.0000, 0.5000)
Si (0.0000, 0.5000, 0.0000)
Si (0.5000, 0.0000, 0.5000)
Ni (0.1250, 0.8750, 0.2500)
Ni (0.1429, 0.5644, 0.3287)
Ni (0.1429, 0.8141, 0.5785)
Ni (0.1859, 0.2644, 0.3287)
Ni (0.1859, 0.8571, 0.9215)
Ni (0.2644, 0.1859, 0.8287)
Ni (0.2644, 0.4356, 0.0785)
Ni (0.4356, 0.2644, 0.5785)
Ni (0.4356, 0.8571, 0.1713)
Ni (0.5644, 0.1429, 0.8287)
Ni (0.5644, 0.7356, 0.4215)
Ni (0.7356, 0.5644, 0.9215)
Ni (0.7356, 0.8141, 0.1713)
Ni (0.8141, 0.1429, 0.0785)
Ni (0.8141, 0.7356, 0.6713)
Ni (0.8571, 0.1859, 0.4215)
Ni (0.8571, 0.4356, 0.6713)
Ni (0.8750, 0.1250, 0.7500)

***

Record 6
## LaSiNi3 (PBE)

Data for an optimized crystal structure of LaSiNi3.

Calculated values
distance to the lowest polymorph of the same formula	0	meV per atom
crystal system	hexagonal

a b c (Å): 5.7109 5.7109 11.5283
angles (deg): 90.00 90.00 120.00
Fractional positions:
'''
September 2005: The FSMTB holds its first meeting.
March 2007: The FSMTB releases results of its job-task analysis, administered as part of the development of a massage licensing exam. It finds 84 percent of respondents think massage licensing should be required throughout the U.S.
• Here the article breaks off for materials data:
A plane-wave DFT calculation with GGA+U was carried out for a geometry-optimized NpTaMnO6 structure.

As for the raw total energy: -9.44 eV per atom. The value obtained for the mass density is 7.8 g cm⁻³.

The space group is P-31c (No. 163) and the conventional cell measures 5.5105, 5.5105 and 9.1599 Å, with angles of 90.00, 90.00 and 120.00 degrees. The distinct sites, in fractional coordinates, are Np at (0.3333, 0.6667, 0.2500), Ta at (0.3333, 0.6667, 0.7500), Mn at (0.0000, 0.0000, 0.0000) and O at (0.0186, 0.3603, 0.6345).

----------

The following is a PBE-GGA calculation of a relaxed Cs2Ce2CuS6 crystal, from Alexandria via LeMat-Bulk.

abc: 6.781 12.411 8.521
angles: 90.00 105.16 90.00
Space group C2/m (No. 12)
Inequivalent atoms, fractional coordinates:
Cs: 0.000 0.156 0.000 (multiplicity 4)
Ce: 0.000 0.334 0.500 (multiplicity 4)
Cu: 0.000 0.000 0.500 (multiplicity 2)
S: 0.233 0.176 0.683 (multiplicity 8)
S: 0.237 0.000 0.350 (multiplicity 4)

Results
Formation energy without anion corrections, eV per atom: -1.28
Energy, eV per atom: -5.134

----------

Record 1
! NdHo5Tm3, relaxed, DFT PBE-GGA; values from VASP
! SG   C2/m
! Calculated formation energy   432 meV per atom
! Distance to the lowest polymorph of the same formula   118 meV/atom
! Energy   -4.131 eV/atom
! Mass density   8.015 Mg/m³
! M_tot   0.00 μB/atom
&SYSTEM
  ibrav = 0, nat = 18, ntyp = 3
/
ATOMIC_SPECIES
Nd 144.24 Nd.upf
Ho 164.93 Ho.upf
Tm 168.93 Tm.upf
ATOMIC_POSITIONS crystal
Nd 0.236 0.236 0.132
Nd 0.764 0.764 0.868
Ho 0.123 0.123 0.566
Ho 0.143 0.729 0.220
Ho 0.271 0.857 0.780
Ho 0.299 0.299 0.928
Ho 0.322 0.678 0.000
Ho 0.678 0.322 0.000
Ho 0.701 0.701 0.072
Ho 0.729 0.143 0.220
Ho 0.857 0.271 0.780
Ho 0.877 0.877 0.434
Tm 0.000 0.000 0.000
Tm 0.168 0.168 0.338
Tm 0.378 0.378 0.682
Tm 0.500 0.500 0.500
Tm 0.622 0.622 0.318
Tm 0.832 0.832 0.662
CELL_PARAMETERS angstrom
8.393 -3.962 0.000
8.393 3.962 0.000
-7.876 0.000 9.193


Record 2
! Nd4HoTm7, relaxed, DFT PBE-GGA; values from VASP
! SG   C2/m
! Calculated formation energy   275 meV per atom
! Distance to the lowest polymorph of the same formula   185 meV/atom
! Energy   -4.304 eV/atom
! Mass density   8.031 Mg/m³
! M_tot   0.00 μB/atom
&SYSTEM
  ibrav = 0, nat = 12, ntyp = 3
/
ATOMIC_SPECIES
Nd 144.24 Nd.upf
Ho 164.93 Ho.upf
Tm 168.93 Tm.upf
ATOMIC_POSITIONS crystal
Nd 0.140 0.140 0.277
Nd 0.283 0.283 0.838
Nd 0.717 0.717 0.162
Nd 0.860 0.860 0.723
Ho 0.500 0.500 0.500
Tm 0.000 0.000 0.500
Tm 0.132 0.132 0.993
Tm 0.288 0.288 0.576
Tm 0.429 0.429 0.192
Tm 0.571 0.571 0.808
Tm 0.712 0.712 0.424
Tm 0.868 0.868 0.007
CELL_PARAMETERS angstrom
6.035 -2.930 0.000
6.035 2.930 0.000
-6.014 0.000 11.252


Record 3
! Nd2Ho5Tm5, relaxed, DFT PBE-GGA; values from VASP
! SG   C2/m
! Calculated formation energy   23 meV per atom
! Energy   -4.542 eV/atom
! Mass density   8.681 Mg/m³
! M_tot   0.00 μB/atom
&SYSTEM
  ibrav = 0, nat = 12, ntyp = 3
/
ATOMIC_SPECIES
Nd 144.24 Nd.upf
Ho 164.93 Ho.upf
Tm 168.93 Tm.upf
October 2007: The FSMTB announces the creation of the Massage & Bodywork Licensing Examination (MBLEx).
December 2007: The Oregon Board of Massage Therapy announces plans to use the MBLEx exclusively, joining Arkansas in its decision to no longer use the NCETMB.
February 2008: The Louisiana Board of Massage Therapy votes to adopt the MBLEx for state licensure, as an alternative to the NCETMB.
April 2008: The National Certification Board for Therapeutic Massage and Bodywork (NCBTMB) announces a price reduction on its National Examination for State Licensing (another name for the NCETMB), from $225 to $175. The MBLEx costs $195.
May 2008: Florida votes to require new massage therapists pass the MBLEx, and to drop the NCETMB as its administered exam.
May 2008: The NCBTMB announces the formation of a new government relations committee “charged with monitoring legislative initiatives and state board developments throughout the country,” and the appointment of a director of government relations.
July 2008: The NCBTMB files a formal challenge to the decision by the Florida Board of Massage Therapy to replace the NCETMB with the MBLEx.
October 2008: The NCBTMB urges its certificants in Pennsylvania to ask their legislators to vote no on House Bill 2499, a massage-licensure bill that would allow the use of the MBLEx. Despite this, the bill is signed into law.
November 2008: The North Carolina Board of Massage and Bodywork Therapy votes to make the MBLEx the only major test that will be accepted for regular licensure after Jan. 1, 2011.
January 2009: The Florida Department of Health, Florida Board of Massage Therapy and the NCBTMB reach a compromise on the NCBTMB’s challenge to the Florida board’s decision to require new massage therapists pass the MBLEx and to drop the NCETMB as its administered exam. The compromise allows for use of both the MBLEx and the NCETMB.
January 2009: The American Massage Therapy Association (AMTA) announces its support of the MBLEx over any other exam for state regulation of massage therapy.
┌──
Here is a PBEsol-optimized structure of ZrScCl from Alexandria. Energies are from meta-GGA SCAN.

Cell and atoms, written as extended XYZ:
```
3
Lattice="0.000 2.524 6.360 1.856 0.000 6.360 1.856 2.524 0.000" Properties=species:S:1:pos:R:3 pbc="T T T"
Zr 0.000 0.000 0.000
Sc 1.856 2.524 8.639
Cl 1.856 2.524 4.270
```

* E_tot: -54.96 eV/cell

~~~~~

# 1
# Er2IrI

Er2IrI after structural relaxation (GGA-PBE, Alexandria).

Calculated values
The total energy comes out at -0.2147 Ha/atom. For the energy above the most stable polymorph in this dataset, the calculation gives 0.05 eV per formula unit. The symmetry is Cm, No. 8. The value obtained for the spin magnetization is 0.00 μB/f.u.

Cell: 7.1637 4.1361 8.2055 Å, 90.00 90.21 90.00°
With the nearest neighbours (Å) after each atom.
Positions (direct):
Er 0.0000 0.0000 0.0000  3 Ir 2.78
Er 0.1681 0.5000 0.3343  3 Ir 2.73
Er 0.5000 0.5000 0.0000  3 Ir 2.78
Er 0.6681 0.0000 0.3343  3 Ir 2.73
Ir 0.3341 0.0000 0.1739  6 Er 2.73-2.78
Ir 0.8341 0.5000 0.1739  6 Er 2.73-2.78
I 0.1651 0.5000 0.7238  4 Er 3.20-3.29
I 0.6651 0.0000 0.7238  4 Er 3.20-3.29

# 2
# PmZnPt3

PmZnPt3 after structural relaxation (GGA-PBE, Alexandria).

Calculated values
The total energy comes out at -0.2047 Ha/atom. For the energy above the most stable polymorph in this dataset, the calculation gives 0.00 eV per formula unit. As for the energy of formation from the pure elements: -3.70 eV per formula unit. The symmetry is Imma, No. 74. The value obtained for the spin magnetization is 0.00 μB/f.u.

Cell: 6.6216 6.6216 6.6216 Å, 131.29 100.18 99.40°
With the nearest neighbours (Å) after each atom.
Positions (direct):
Pm 0.2833 0.0333 0.2500  7 Pt 3.03-3.24
Pm 0.7167 0.9667 0.7500  7 Pt 3.03-3.24
Zn 0.0000 0.5000 0.5000  6 Pt 2.54-2.58
Zn 0.5000 0.5000 0.0000  6 Pt 2.54-2.58
Pt 0.0792 0.3292 0.7500  2 Zn 2.58, 4 Pt 2.75
Pt 0.2690 0.0000 0.7690  2 Zn 2.54, 4 Pt 2.73-2.75
Pt 0.2690 0.5000 0.2690  2 Zn 2.54, 4 Pt 2.73-2.75
Pt 0.7310 0.0000 0.2310  2 Zn 2.54, 4 Pt 2.73-2.75
Pt 0.7310 0.5000 0.7310  2 Zn 2.54, 4 Pt 2.73-2.75
Pt 0.9208 0.6708 0.2500  2 Zn 2.58, 4 Pt 2.75

# 3
# BeInC2

BeInC2 after structural relaxation (GGA-PBE, Alexandria).

Calculated values
The total energy comes out at -0.1519 Ha/atom. For the energy above the most stable polymorph in this dataset, the calculation gives 3.82 eV per formula unit. As for the energy of formation from the pure elements: 8.37 eV per formula unit. The symmetry is Fm-3m, No. 225. The value obtained for the spin magnetization is 0.00 μB/f.u.

Cell: 5.6049 5.6049 5.6049 Å, 90.00 90.00 90.00°
With the nearest neighbours (Å) after each atom.
Positions (direct):
Be 0.0000 0.0000 0.0000  8 C 2.43
Be 0.0000 0.5000 0.5000  8 C 2.43
Be 0.5000 0.0000 0.5000  8 C 2.43
Be 0.5000 0.5000 0.0000  8 C 2.43
└──
## Back to the page
March 2009: The NCBTMB releases a statement about AMTA’s support of the MBLEx which reads, in part, “NCBTMB feels, respectfully, that AMTA’s decision to endorse the MBLEx was driven by passion rather than reason, and does not promote the long-term interests of the massage therapy profession.”
May 2009: House Bill 2059, intended to amend and create new provisions for health regulatory boards, including the Oregon Board of Massage Therapy, has an amendment added to it at the NCBTMB’s suggestion. The amendment would require Oregon to accept the NCETMB.
June 2009: The NCBTMB announces it has “laid the groundwork for an advanced credential and is taking steps toward development of specialty certifications” in areas including massage therapy instruction, pregnancy, sports and oncology massage, and spa techniques.
July 2009: Twenty-nine states are members of the FSMTB. Of those, 18 have adopted use of the MBLEx alongside the NCETMB and two have adopted use of the MBLEx exclusively. Forty-two states and the District of Columbia offer some type of credential to professionals in the massage and bodywork field—usually licensure, certification or registration.
—Karen Menehan